
Vegna framkvæmda á landgangi í Viðey hefur öllum brottförum verið aflýst. Siglingar hefjast aftur þegar framkvæmdum lýkur!



Tour status: RUNNING

Tour at 20:30

Report from Elding: The bay did not seem to be much alive during the day so our expectations were moderate. Once again we were to learn better. During this tour there was a minke whale to be witnessed showing all his ability to move really fast, changing directions around the boat and was to be seen on the surface a few times pretty close. A humpback whales blow draw our attention from far to later show it's impressive fluke, shortly before arriving there a small pod of white beaked dolphins traveled along our side in the same direction, only twice as fast as we were. Lots of great experiences rounded up by nice music on our way home.

- Valentin Witek

Tour at 17:00

Report from Eldey: Wind speed picked up for the tour in the evening, but we had the wind in our back for the way out into the bay. After searching the area for some time we saw a splash in the distance, but once we got closer there was no animal to be found. We turned the boat around and went into another area, when a minke whale suddenly surfaced next to the boat. It was seen once more, just in front of us. However, this was going to be the only sighting of the tour. Therefore, we gave our passengers complimentary tickets, in hope of more luck with the cetaceans the next time.

-Diana Besel

Tour at 14:00

Report from Hafsulan: Weather conditions changed from previous days and we faced again overcast skies, but it only meant that sun was absent because wildlife was still around Faxafloi. It took us a while but we found out 2 minke whales, one of them was rather elusive while traveling but the second one was extremely active as we could follow her while chasing fish. A good proof of that was that hundreds of seabirds were following the whereabouts of this hungry cetaceans. After several close encounters we headed back to Reykjavik enjoying a smooth sailing experience.

-Rodrigo A. Martinez Catalan

Tour at 13:00

Report from Eldey: Wind changed direction what smoothed sea surface and swell was much less stronger than in the morning. We had perfect condition for whale watching so we went directly check to our favorite locations. There were some small fishing boat out on the water but beside them bay seems to be sleepy. After spending long time sailing through the bay finally we had to turn back. Our hopes still were high when we got a call about minke whale close by. In the spot we were welcomed by huge splash, clearly made by jumping whale. Unfortunately we weren't able to track that minke again. Hopeful our passenger will have a whale of a time next time, as we offered to everyone complimentary tickets.

- Ewa Malinowska

Tour at 10:00

-- Here the piece breaks off for materials data --
'''
DFT (PBE-GGA) results for crystalline YOF3 at its relaxed geometry.

Values from the calculation:
Crystal system: cubic
Uncorrected energy, Ry per atom: -0.34884
N(E_F), states/eV per cell: 2.015
Uncorrected formation energy, eV/atom: -1.339
Calculated volume, Å³ per cell: 65.64
E above lowest polymorph, eV/atom: 1.341
SG: Pm-3m, No. 221

Lattice parameters (Å, degrees): 4.0339 4.0339 4.0339 90.00 90.00 90.00
With the nearest neighbours (Å) after each atom.
Atoms (fractional coordinates):
Y 0.0000 0.0000 0.0000  12 F 2.85
O 0.5000 0.5000 0.5000  6 F 2.02
F 0.0000 0.5000 0.5000  2 O 2.02
F 0.5000 0.0000 0.5000  2 O 2.02
F 0.5000 0.5000 0.0000  2 O 2.02

DFT (PBE-GGA) results for crystalline YO2F2 at its relaxed geometry.

Values from the calculation:
Crystal system: tetragonal
Uncorrected energy, Ry per atom: -0.38881
N(E_F), states/eV per cell: 1.213
Uncorrected formation energy, eV/atom: -1.265
Calculated volume, Å³ per cell: 57.12
SG: P4/mmm, No. 123

Lattice parameters (Å, degrees): 3.7938 3.7938 3.9685 90.00 90.00 90.00
With the nearest neighbours (Å) after each atom.
Atoms (fractional coordinates):
Y 0.0000 0.0000 0.0000  4 O 2.68, 8 F 2.75
O 0.5000 0.5000 0.0000  2 O 1.98
O 0.5000 0.5000 0.5000  4 F 1.90, 2 O 1.98
F 0.0000 0.5000 0.5000  2 O 1.90
F 0.5000 0.0000 0.5000  2 O 1.90

DFT (PBE-GGA) results for crystalline Y6O5F8 at its relaxed geometry.

Values from the calculation:
Crystal system: triclinic
Uncorrected energy, Ry per atom: -0.58851
N(E_F), states/eV per cell: 0.000
Uncorrected formation energy, eV/atom: -3.873
Calculated volume, Å³ per cell: 257.73
E above lowest polymorph, eV/atom: 0.000
SG: P1, No. 1

Lattice parameters (Å, degrees): 5.5176 5.5447 8.7552 74.33 87.96 89.33
With the nearest neighbours (Å) after each atom.
Atoms (fractional coordinates):
Y 0.0000 0.0000 0.0000  3 O 2.28-2.32, 5 F 2.34-2.52
Y 0.0044 0.6841 0.6644  4 O 2.23-2.35, 2 F 2.31-2.34
Y 0.0123 0.3365 0.3154  3 O 2.23-2.29, 3 F 2.23-2.45
Y 0.4090 0.1797 0.6505  4 O 2.23-2.30, 3 F 2.35-2.46
Y 0.4364 0.8036 0.3385  3 O 2.25-2.39, 5 F 2.35-2.46
Y 0.4438 0.5450 0.9639  3 O 2.20-2.32, 3 F 2.33-2.40
O 0.1933 0.5063 0.4937  4 Y 2.23-2.30
O 0.1997 0.0176 0.4810  4 Y 2.23-2.34
O 0.2005 0.3410 0.8326  4 Y 2.29-2.35
O 0.2023 0.6648 0.1536  4 Y 2.23-2.39
O 0.2257 0.8516 0.8189  4 Y 2.20-2.30
F 0.3028 0.1690 0.1525  4 Y 2.36-2.51
F 0.6501 0.8755 0.5502  3 Y 2.34-2.46, 2 F 2.51
F 0.6641 0.4241 0.4274  3 Y 2.23-2.46
F 0.6636 0.7492 0.1185  3 Y 2.35-2.37, 3 F 2.39-2.56, 1 O 2.59
F 0.6811 0.4147 0.7529  3 Y 2.31-2.49
F 0.7344 0.8933 0.8262  3 Y 2.34-2.54, 2 F 2.48-2.51
F 0.8096 0.3512 0.0492  3 Y 2.33-2.60, 2 F 2.45-2.56
F 0.8451 0.9842 0.2771  3 Y 2.28-2.52, 3 F 2.39-2.51

DFT (PBE-GGA) results for crystalline YOF at its relaxed geometry.

Values from the calculation:
Crystal system: trigonal
Uncorrected energy, Ry per atom: -0.60916
N(E_F), states/eV per cell: 0.000
Uncorrected formation energy, eV/atom: -3.857
Calculated volume, Å³ per cell: 81.28
SG: R-3m, No. 166
'''

Report from Hafsúlan: Sailing was pretty good today, the swell could have been higher and wind blew hard only on our way back. The passengers learned a lot about whales and wildlife while looking out for cetaceans. A minke whale popped up, both of us were in fullspeed and when we stopped it had been gone and was not seen again. Following some good tracks, in the end our trip was not crowned by any more success in finding marine mammals and we are looking forward to see again everybody who wishes to make use of his or her complimentary ticket.

- Valentin Witek

Tour at 9:00

Report from Eldey: Our tour this morning started with a grey sky and some light rain from time to time. Sea conditions were slightly rough, but our captain held the boat steady anyway. We were already heading out for some time into the bay, when we saw a big splash in the distance. It was a breaching minke whale, but unfortunately too far away to get a proper look at. When we were getting closer the whale was nowhere to be seen. After a short while we found another minke, surfacing once and then this one was also heading into another area. Just when we were starting to go back to the harbour, one more minke surfaced twice in front of the boat. However, as we only saw each animal for a very short time, we gave our passengers complimentary tickets, so they can try their luck on another tour.

-Diana Besel

Birds seen on today's tours include: atlantic puffin, northern fulmar, northern gannet, manx shearwater, common guillemot, arctic skua, lesser black-backed gull, black-legged kittiwake, arctic tern

We are running our tours today from the Old Harbour in Reykjavík, sea conditions are favorable and hopefully the sun will shine again today for us.  Please don't hesitate to contact our ticket office for further information, either via phone +354 5195000 or